Archive | September 2023

Inserted here: records of crystals:
=====
Computed, not measured: a relaxed KMn2BrF crystal at the GGA+U level of DFT.

The structure in CIF format:
```
data_KMn2BrF
_chemical_formula_sum 'K1 Mn2 Br1 F1'
_space_group_name_H-M_alt 'P 1'
_space_group_IT_number 1
_space_group_name_Hall 'P 1'
_cell_length_a 4.973
_cell_length_b 6.574
_cell_length_c 4.973
_cell_angle_alpha 90.00
_cell_angle_beta 90.00
_cell_angle_gamma 90.00
loop_
_atom_site_label
_atom_site_type_symbol
_atom_site_fract_x
_atom_site_fract_y
_atom_site_fract_z
K1 K 0.500 0.500 0.500
Mn1 Mn 0.000 0.000 0.500
Mn2 Mn 0.500 0.000 0.000
Br1 Br 0.000 0.000 0.000
F1 F 0.000 0.500 0.000
```

Properties
**Electronic total energy**: -20.05 eV per cell
**Space group**: P4/mmm, No. 123
**Calculated volume**: 32.508 Å³ per atom

* * * * *

(one)
## Tm2FeSe (PBE)

Data for a relaxed structure of Tm2FeSe.

Computed properties:
* crystal system: trigonal

Cell: 8.9696 8.9696 8.9696 Å, 23.13 23.13 23.13°
Element x y z (fractional)
Tm 0.0945 0.0945 0.0945
Tm 0.9055 0.9055 0.9055
Fe 0.0000 0.0000 0.0000
Se 0.5000 0.5000 0.5000

(two)
## Tm2FeSe (PBE)

Data for a relaxed structure of Tm2FeSe.

Computed properties:
* crystal system: tetragonal

Cell: 3.4503 3.4503 6.8160 Å, 90.00 90.00 90.00°
Element x y z (fractional)
Tm 0.0000 0.0000 0.2324
Tm 0.0000 0.0000 0.7676
Fe 0.5000 0.5000 0.0000
Se 0.5000 0.5000 0.5000

Quick one: most stable of them? (two)

(one)
## VFeSe2 (PBE)

Data for a relaxed structure of VFeSe2.

Computed properties:
* crystal system: monoclinic

Cell: 3.6942 3.7026 6.4853 Å, 90.00 90.21 90.00°
Element x y z (fractional)
V 0.0000 0.0000 0.0000
Fe 0.5001 0.5000 0.0009
Se 0.5016 0.0000 0.2491
Se 0.9983 0.5000 0.7518

(two)
## VFeSe2 (PBE)

Data for a relaxed structure of VFeSe2.

Computed properties:
* crystal system: trigonal

Cell: 8.2045 8.2045 8.2045 Å, 22.63 22.63 22.63°
Element x y z (fractional)
V 0.0000 0.0000 0.0000
Fe 0.5000 0.5000 0.5000
Se 0.4015 0.4015 0.4015
Se 0.5985 0.5985 0.5985

Quick one: most stable of them? (one)

(one)
## VFeSe2 (PBE)

Data for a relaxed structure of VFeSe2.

Computed properties:
* crystal system: cubic

Cell: 4.4664 4.4664 4.4664 Å, 60.00 60.00 60.00°
Element x y z (fractional)
V 0.0000 0.0000 0.0000
Fe 0.5000 0.5000 0.5000
Se 0.2500 0.2500 0.2500
Se 0.7500 0.7500 0.7500

(two)
## VFeSe2 (PBE)

Data for a relaxed structure of VFeSe2.

Computed properties:
* crystal system: trigonal

Cell: 8.0253 8.0253 8.0253 Å, 24.17 24.17 24.17°
Element x y z (fractional)
V 0.0000 0.0000 0.0000
Fe 0.5000 0.5000 0.5000
Se 0.1062 0.1062 0.1062
Se 0.8938 0.8938 0.8938

(three)
## VFeSe2 (PBE)

Data for a relaxed structure of VFeSe2.

Computed properties:
* crystal system: tetragonal

Cell: 6.9315 6.9315 6.9315 Å, 132.70 132.70 69.13°
Element x y z (fractional)
V 0.0000 0.0000 0.0000
V 0.7500 0.2500 0.5000
Fe 0.2500 0.7500 0.5000
Fe 0.5000 0.5000 0.0000
Se 0.1327 0.6250 0.0077
Se 0.3750 0.3827 0.5077
Se 0.6173 0.1250 0.9923
Se 0.8750 0.8673 0.4923

Quick one: most stable of them? (three)

(one)
## VFeSe (PBE)
=====

Bread & Circus

Attached: materials data:
=====
Pr5Nd4Tl2, optimized geometry, DFT PBE-GGA; N(E_F) = 1.3578 states/eV per atom; ΔH_f (0 K) = -34 meV per atom; space group = No. 10; total magnetic moment = 0.00 μB/atom
1.0
3.6400 0.0000 0.0000
0.0000 8.8726 -0.0805
0.0000 -0.9565 11.5553
Pr Nd Tl
5 4 2
direct
0.0000 0.5532 0.3030 Pr
0.0000 0.1960 0.1641 Pr
0.0000 0.5000 0.0000 Pr
0.0000 0.8040 0.8359 Pr
0.0000 0.4468 0.6970 Pr
0.5000 0.7435 0.5484 Nd
0.5000 0.1557 0.8771 Nd
0.5000 0.2565 0.4516 Nd
0.5000 0.8443 0.1229 Nd
0.0000 0.0648 0.6385 Tl
0.0000 0.9352 0.3615 Tl

=====

Below is a relaxed RbHg3Bi crystal, with properties calculated at the GGA-PBE level.

Geometry as CIF:
```
data_RbHg3Bi
_symmetry_space_group_name_H-M 'P 1'
_symmetry_Int_Tables_number 1
_symmetry_space_group_name_Hall 'P 1'
_cell_length_a 6.014
_cell_length_b 6.014
_cell_length_c 6.014
_cell_angle_alpha 90.00
_cell_angle_beta 90.00
_cell_angle_gamma 90.00
loop_
_atom_site_label
_atom_site_type_symbol
_atom_site_fract_x
_atom_site_fract_y
_atom_site_fract_z
_atom_site_occupancy
Rb1 Rb 0.000 0.000 0.000 1
Hg1 Hg 0.000 0.500 0.500 1
Hg2 Hg 0.500 0.000 0.500 1
Hg3 Hg 0.500 0.500 0.000 1
Bi1 Bi 0.500 0.500 0.500 1
```

Output
- relative energy among the computed polymorphs (meV/atom) = 159
- energy of formation (meV/atom) = -26

Below is a relaxed LaCrTc2 crystal, with properties calculated at the GGA-PBE level.

Geometry as CIF:
```
data_LaCrTc2
_symmetry_space_group_name_H-M 'P 1'
_symmetry_Int_Tables_number 1
_symmetry_space_group_name_Hall 'P 1'
_cell_length_a 2.987
_cell_length_b 2.987
_cell_length_c 27.231
_cell_angle_alpha 90.00
_cell_angle_beta 90.00
_cell_angle_gamma 120.00
loop_
_atom_site_label
_atom_site_type_symbol
_atom_site_fract_x
_atom_site_fract_y
_atom_site_fract_z
_atom_site_occupancy
La1 La 0.000 0.000 0.000 1
La2 La 0.333 0.667 0.667 1
La3 La 0.667 0.333 0.333 1
Cr1 Cr 0.000 0.000 0.500 1
Cr2 Cr 0.333 0.667 0.167 1
Cr3 Cr 0.667 0.333 0.833 1
Tc1 Tc 0.000 0.000 0.232 1
Tc2 Tc 0.000 0.000 0.768 1
Tc3 Tc 0.333 0.667 0.434 1
Tc4 Tc 0.333 0.667 0.899 1
Tc5 Tc 0.667 0.333 0.101 1
Tc6 Tc 0.667 0.333 0.566 1
```

Output
- relative energy among the computed polymorphs (meV/atom) = 273
- energy of formation (meV/atom) = 571

Below is a relaxed HoGaBr2 crystal, with properties calculated at the GGA-PBE level.

Geometry as CIF:
```
data_HoGaBr2
_symmetry_space_group_name_H-M 'P 1'
_symmetry_Int_Tables_number 1
_symmetry_space_group_name_Hall 'P 1'
_cell_length_a 4.663
_cell_length_b 4.663
_cell_length_c 17.992
_cell_angle_alpha 90.00
_cell_angle_beta 90.00
_cell_angle_gamma 120.00
loop_
_atom_site_label
_atom_site_type_symbol
_atom_site_fract_x
_atom_site_fract_y
_atom_site_fract_z
_atom_site_occupancy
Ho1 Ho 0.000 0.000 0.000 1
Ho2 Ho 0.333 0.667 0.667 1
Ho3 Ho 0.667 0.333 0.333 1
Ga1 Ga 0.000 0.000 0.500 1
Ga2 Ga 0.333 0.667 0.167 1
Ga3 Ga 0.667 0.333 0.833 1
Br1 Br 0.000 0.000 0.260 1
Br2 Br 0.000 0.000 0.740 1
Br3 Br 0.333 0.667 0.406 1
Br4 Br 0.333 0.667 0.927 1
Br5 Br 0.667 0.333 0.073 1
=====
The piece goes on:

Threatening to cut off the bread creates a circus. Sometimes muddy waters are not that deep.

Two pairs of eyes may be better than one. A few billion pairs of eyes overwhelms the processing power of the human brain.

Old Man 809

Some kind of metaphor for Icarus? Or just plain icky?


This is my souvenir from the last federal government shutdown. I believe that one was about money for a fraudulent boarder wall. I am not sure what fraud is being perpetrated this time. It is just another fine example of how government is pretty piss poor at governing. Fraud is not something the Supreme Court considers to be protected by the 1st Amendment right to free speach. (Illinois v. Telemarketing Associates, 2003, United States v. Stevens, 2010, and United States v. Hansen, 2023) Is fraudualant governing a thing?

Don’t Listen To Me

People are nuts. They can’t take care of themselves. They are like every other animal. They live; they die. In between they eat, poop, and make little people. They make a mess. Who’s going to clean it up? They aren’t.

I pray that they are someone’s pets, then, maybe, something will change the newspapers in the bottom of their cage. But you can’t trust what I pray for; I’m a people.


I was watching the TV show Blacklist and Ramond Redington was rambling in the back of a car; it sounded like a quote, and I had to look it up.  I at first thought it was Walt Whitman from the Leaves of Grass, all those leaves of grass on top of graves.  But I was wrong.  It was Oscar Wilde from Canterberry Ghost.

“Death must be so beautiful. To lie in the soft brown earth, with the grasses waving above one’s head, and listen to silence.”

I was binge watching that show and also stumbled across some back ground music Marilyn Manson did.  I still haven’t figured out how to put it on my MP3.

I must have a beautiful brain, because it listens to loud noises in pursuit of that silence.  Tinnitus can drive a person mad. I cannot recall all the times my brain has tried to get me killed. Senility might be a blessing.


There are some people in the United States of America who believe that the U.S. Constitution gives them the green light to be criminals in their pursuit of liberty and happiness.  There are some people who just want to live.  I’m pretty sure some of the guys who wrote the document had their own agendas.  How many of them were screw-heads is still and ongoing discussion.

Autumnal Equinox

The first day of autumn. Winter is coming and that whole shtick. Unless you are on the other side of this world, then it is getting on to Spring. Only the skookum know what is going on in the rest of the universe.

Fat Cats

Kings and queens, princes
and princess’
emperors and empresses.
Robber barons hold
monopolies and monopoless’.
Fortune may favor the bold,
but truth be told,
it just leaves messes.

Moral Logistics

As the president put it to the nations of the world, “Evil can not be trusted.”.  That may be well enough true, but Good does too much soul searching to earn any kind of trustworthiness itself.  In fact, it seems to me that Evil is least trustworthy when it is touting itself as Good.  Good has a hard time getting off when it is pretending to be Evil.  Good and Evil in government need some serious time management analysis. Too much administration and middle management, not enough people out in yellow vests with a grabber and bucket in hand.  Police those butts!  They need some weather, 40 hours a week, and crappy pay for a decade or two.

It Takes a Village

Why does it take so much energy for our culture to bring down just one man? Because it isn’t just one man.

P01135 . . . 778, 763, 778, 732, 765, 766, 781, 804, 832, 823, 828, 826, 821, 824, 754, 735, 803, 780, 809.

“Give them a number, take away their names.”